In conformity with the policy of complete transparency we advocate of government and civil society and in acknowledgement of our English-speaking audience, we are complementing the publication of our statutes with that of our internal bylaws.
Article 1. Objective
The present internal bylaws are established in conformity with the Citizens’ Initiative for Change association statutes, and complete the aforementioned statutes in accordance with those regulations in place within the Islamic Republic of Mauritania, particularly those pertaining to voluntary associations.
These bylaws determine, in accordance with the said statutes, the regulations relative to the internal functioning of the association, the organization of its activities and its self-regulation.
Article 2. Applicative Domain
**Unrelated to this article: data records**
-- begin --
No. 1
The following is a DFT calculation (r²SCAN) of an optimized crystal structure of LaGe.

a = 4.1474 Å, b = 6.1092 Å, c = 8.5163 Å
α = 90.00°, β = 90.00°, γ = 90.00°
Element x y z (fractional)
Ge 0.7500 0.3684 0.9634
Ge 0.2500 0.8684 0.5366
Ge 0.7500 0.1316 0.4634
Ge 0.2500 0.6316 0.0366
La 0.2500 0.1170 0.1818
La 0.7500 0.6170 0.3182
La 0.2500 0.3830 0.6818
La 0.7500 0.8830 0.8182

Summary:
Magnetization = 0.00 μB per formula unit
Calculated formation energy = -0.93 eV/atom

***

No. 2
The following is a DFT calculation (r²SCAN) of an optimized crystal structure of LiLaGe2.

a = 4.0104 Å, b = 7.9098 Å, c = 10.8915 Å
α = 90.00°, β = 90.00°, γ = 90.00°
Element x y z (fractional)
Li 0.2500 0.4926 0.1109
Li 0.2500 0.9926 0.3891
Li 0.7500 0.0074 0.6109
Li 0.7500 0.5074 0.8891
La 0.7500 0.8610 0.1342
La 0.7500 0.3610 0.3658
La 0.2500 0.1390 0.8658
La 0.2500 0.6390 0.6342
Ge 0.7500 0.2813 0.0699
Ge 0.7500 0.7813 0.4301
Ge 0.2500 0.1604 0.1815
Ge 0.2500 0.2187 0.5699
Ge 0.7500 0.8396 0.8184
Ge 0.2500 0.6604 0.3185
Ge 0.7500 0.3396 0.6816
Ge 0.2500 0.7187 0.9301

Summary:
Magnetization = 0.00 μB per formula unit
Calculated formation energy = -0.79 eV/atom

***

No. 3
The following is a DFT calculation (r²SCAN) of an optimized crystal structure of LaMn2Ge2.

a = 6.3446 Å, b = 6.3446 Å, c = 6.3446 Å
α = 140.96°, β = 140.96°, γ = 56.40°
Element x y z (fractional)
La 0.0000 0.0000 0.0000
Ge 0.3830 0.3830 0.0000
Ge 0.6170 0.6170 0.0000
Mn 0.7500 0.2500 0.5000
Mn 0.2500 0.7500 0.5000

Summary:
Magnetization = 7.89 μB per formula unit
Calculated formation energy = -0.67 eV/atom

***

No. 4
The following is a DFT calculation (r²SCAN) of an optimized crystal structure of La5Ge3O.

a = 8.9821 Å, b = 8.9821 Å, c = 6.7399 Å
α = 90.00°, β = 90.00°, γ = 120.00°
Element x y z (fractional)
O 0.0000 0.0000 0.5000
O 0.0000 0.0000 0.0000
La 0.3333 0.6667 0.5000
La 0.7709 0.0000 0.2500
La 0.2291 0.2291 0.2500
La 0.2291 0.0000 0.7500
La 0.6667 0.3333 0.0000
La 0.0000 0.2291 0.7500
La 0.3333 0.6667 0.0000
La 0.6667 0.3333 0.5000
La 0.7709 0.7709 0.7500
La 0.0000 0.7709 0.2500
Ge 0.6022 0.6022 0.2500
Ge 0.6022 0.0000 0.7500
Ge 0.3978 0.3978 0.7500
Ge 0.0000 0.3978 0.2500
Ge 0.3978 0.0000 0.2500
Ge 0.0000 0.6022 0.7500

Summary:
Magnetization = 0.00 μB per formula unit
Calculated formation energy = -1.42 eV/atom

***

No. 5
The following is a DFT calculation (r²SCAN) of an optimized crystal structure of LaGe3Os.

a = 5.9841 Å, b = 5.9841 Å, c = 5.9841 Å
α = 136.36°, β = 136.36°, γ = 63.43°
Element x y z (fractional)
Os 0.6587 0.6587 0.0000
Ge 0.7597 0.2597 0.5000
Ge 0.2597 0.7597 0.5000
Ge 0.4256 0.4256 0.0000
La 0.9983 0.9983 0.0000

Summary:
Magnetization = 0.00 μB per formula unit
Calculated formation energy = -0.58 eV/atom

***

No. 6
The following is a DFT calculation (r²SCAN) of an optimized crystal structure of La3Ge4Pd4.

a = 4.2506 Å, b = 4.3994 Å, c = 12.9376 Å
α = 99.79°, β = 99.45°, γ = 90.00°
Element x y z (fractional)
Ge 0.4501 0.4501 0.9001
-- stop --
The present internal bylaws are applicable to any member of the association, to the entirety of its specialized sub-structures as well as its salaried personnel, who expressly state their knowledge of the said bylaws and their consent to following them by the sole virtue of their recruitment.
Article 3. Association Bodies
The association’s branches are:
- The General Assembly
- The Executive Committee
- The Executive Bureau
- Specialized sub-structures
Article 4. The General Assembly
Constitutes the association’s supreme body. Its prerogatives, its composition and the essentials of its meetings are defined by the association’s statutes.
Article 5. The Executive Committee
In the intersession of the General Assembly, the Executive Committee assures the leadership of the association’s activity and the entirety of programs and to this end disposes of all powers not explicitly reserved to the General Assembly by the statutes’ dispositions.
Article 6. The Executive Bureau
By the delegation of the Executive Committee, the Executive Bureau assures the association’s routine management. It may delegate all powers to one of its members in matters which concern them, namely to the President, to the Executive Secretary and to the Treasurer. It may award honorary presidencies to renowned personages whose presence would bring credit to the association, from religious, academic, cultural or political domains.
Article 7. Specialized Structures
Specialized structures comprise the technical commissions, permanent or not, established by the Executive Bureau for the needs of the associations’ activities. They are placed under the authority of the Executive Bureau, which determine their mandate and their composition and designate their presidents.
Article 8. Dues and voluntary contributions
So as to support the current cost of the association’s functioning, its members pay annual dues whose amount is set by the Executive Committee, and voluntary contributions according to their ability to contribute and the association’s real needs.
Annual dues will be fixed at ten thousand ouguiyas (10,000 UM.) There is no fixed limit for voluntary contributions.
Article 9. Claims
As claims, litigation, or demands of any sort may appear, by the fact of or upon the application of the present internal bylaws, they may be brought before competent tribunals only following all attempts at amicable resolutions, as attested by decree from the Ministry of the Interior.
Ratified in Nouakchott, on April 18th 2006,
The Executive Committee